== File ==
Entry from OMol25: a gas-phase ion, C4H6NS (charge +1) at a distorted geometry (wB97M-V/def2-TZVPD).

Geometry as XYZ:
```
12
Properties=species:S:1:pos:R:3:forces:R:3:nbo_charge:R:1
C -0.208 0.022 1.266 1.38 0.28 -1.62 0.150
C 1.062 0.429 0.964 -0.33 -0.67 -1.81 -0.657
C -2.096 -0.862 -0.037 -0.21 -1.17 1.58 0.059
C 1.533 0.378 -1.799 0.64 0.53 3.73 -0.538
N -1.091 -0.620 0.647 -0.60 -2.09 -1.57 -0.288
S 2.154 0.598 -0.284 -1.12 -0.49 -1.81 0.840
H -0.555 0.201 2.202 -0.54 0.92 3.13 0.245
H 1.566 0.808 1.746 1.53 1.16 2.97 0.253
H -2.635 -1.827 0.009 0.71 0.34 -0.48 0.233
H -2.529 -0.002 -0.408 -1.51 1.49 -1.50 0.197
H 2.316 0.689 -2.430 0.18 -0.15 -1.73 0.262
H 0.483 0.185 -1.876 -0.13 -0.16 -0.89 0.245
```
Forces are in eV/Å.

LUMO level (spin up / spin down) = -5.67 / -5.67 eV
energy relative to the best compared isomer or geometry (same formula, charge and spin) = 279.5 kJ/mol
max |F| = 0.0743 Eh/bohr
frontier orbital gap (spin up / spin down) = 7.51 / 7.51 eV
total charge = +1

Entry from OMol25: C17H24FN3O3S in the gas phase at a distorted geometry (wB97M-V/def2-TZVPD).

Geometry as XYZ:
```
49
Properties=species:S:1:pos:R:3:forces:R:3:nbo_charge:R:1
C -5.588 -1.487 1.067 0.63 0.13 -0.67 -0.856
H -5.919 -0.532 1.449 -0.06 0.19 0.09 0.235
H -5.119 -2.078 1.842 0.08 -0.08 0.14 0.241
H -6.411 -2.024 0.614 -0.10 -0.06 -0.17 0.244
S -4.339 -1.189 -0.210 -0.68 -0.20 0.81 2.306
O -3.796 -2.456 -0.606 0.25 -0.10 0.19 -0.952
O -4.935 -0.364 -1.225 0.00 0.21 0.16 -0.955
N -3.194 -0.361 0.687 -0.70 -0.63 -0.44 -0.686
C -3.320 1.081 0.651 -0.27 0.69 -0.01 -0.238
C -2.722 1.687 -0.619 0.13 0.04 0.17 -0.406
H -2.745 2.775 -0.536 -0.04 0.01 -0.03 0.217
H -3.341 1.384 -1.465 0.06 0.09 -0.01 0.233
C -1.284 1.215 -0.872 -0.11 0.07 0.01 -0.318
C -0.308 1.824 0.129 -0.05 -0.03 -0.48 0.707
O -0.633 2.138 1.261 -0.29 0.02 0.37 -0.659
N 0.964 2.016 -0.300 0.38 0.08 0.12 -0.444
C 1.521 1.641 -1.584 0.05 -0.03 -0.36 -0.229
H 0.998 0.776 -1.987 0.03 0.06 0.02 0.221
C 3.008 1.281 -1.389 -0.10 0.05 -0.23 -0.212
N 3.219 0.630 -0.123 -0.15 0.13 -0.12 -0.430
C 3.251 -0.736 0.048 0.14 -0.34 -0.04 0.095
C 2.824 -1.678 -0.896 -0.01 -0.13 0.01 0.387
C 2.912 -3.039 -0.689 0.00 0.13 0.01 -0.275
C 3.427 -3.528 0.497 0.01 -0.01 0.00 -0.236
C 3.856 -2.628 1.458 -0.03 -0.09 0.05 -0.201
C 3.776 -1.269 1.236 -0.07 -0.02 -0.09 -0.242
H 4.147 -0.592 1.989 0.05 0.10 0.05 0.216
H 4.269 -2.987 2.389 0.04 -0.02 0.08 0.215
H 3.492 -4.591 0.665 0.01 -0.11 0.01 0.218
H 2.556 -3.700 -1.464 -0.05 -0.04 -0.10 0.230
F 2.270 -1.282 -2.079 0.04 0.06 0.15 -0.353
C 2.957 1.498 1.011 0.03 0.19 0.13 -0.213
H 3.882 1.977 1.358 -0.09 -0.01 0.11 0.188
C 1.936 2.578 0.614 0.02 0.04 0.27 -0.244
H 1.401 2.931 1.496 0.16 0.01 -0.13 0.261
H 2.427 3.429 0.132 -0.02 -0.03 0.05 0.189
H 2.543 0.901 1.826 0.03 0.05 -0.04 0.213
H 3.620 2.189 -1.396 -0.05 -0.05 -0.08 0.191
H 3.351 0.651 -2.207 -0.01 0.12 0.06 0.234
H 1.431 2.471 -2.299 0.02 -0.08 -0.03 0.191
H -1.002 1.538 -1.879 0.01 -0.06 0.08 0.223
C -1.231 -0.320 -0.791 0.04 0.05 0.17 -0.414
C -1.829 -0.810 0.526 0.50 -0.50 -0.23 -0.234
H -1.844 -1.900 0.549 0.24 0.09 0.07 0.237
H -1.254 -0.433 1.376 -0.08 -0.06 -0.01 0.214
H -0.208 -0.689 -0.882 0.05 -0.04 -0.07 0.217
H -1.824 -0.739 -1.608 0.10 -0.02 -0.07 0.224
H -4.383 1.319 0.704 0.03 0.18 0.08 0.209
H -2.809 1.481 1.530 -0.17 -0.08 -0.09 0.240
```
Forces are in eV/Å.

LUMO level = 0.71 eV
SMILES = CS(=O)(=O)N1CCC(C(=O)N2CCN(c3ccccc3F)CC2)CC1
energy relative to the best compared isomer or geometry (same formula, charge and spin) = 46.3 kJ/mol
max |F| = 0.0210 Eh/bohr
frontier orbital gap = 8.70 eV

Entry from OMol25: C12H17NS in the gas phase at a distorted geometry (wB97M-V/def2-TZVPD).

Geometry as XYZ:
```
31
Properties=species:S:1:pos:R:3:forces:R:3:nbo_charge:R:1
C 1.843 -1.116 -2.519 2.83 -1.12 -0.43 -0.416
C 0.374 -0.347 -0.622 1.90 -2.17 1.12 0.096
C 0.059 -1.767 -0.040 2.39 -0.04 1.93 -0.406
C 0.173 -1.627 1.543 2.68 -2.70 0.49 -0.413

== Work order ==
Now say how many lines of the calculation results further above hold the word "Forces", as a bare number.

== Result ==
2